[Work order]
Next, start at the top of the entries below and set down each line, ending with the one that has "5.794".

[Excerpt]
/*
PBE DyAlPb, relaxed; ΔE_f = -292 meV/atom; space group = No. 166; calculated density = 8.144 g/cm³
1.0
4.425 0.000 0.000
2.213 3.832 0.000
2.213 1.277 9.538
Al Dy Pb
2 2 2
Cartesian
2.213 1.277 4.921
6.638 3.832 4.617
4.425 2.555 6.707
4.425 2.555 2.831
6.638 3.832 8.713
2.213 1.277 0.825

PBE KAc2ZnSe4, relaxed; formation energy without anion corrections = -1.5028 eV per atom; space group = No. 63; calculated density = 5.617 g/cm³
1.0
4.472 0.000 0.000
-2.236 7.572 0.000
0.000 0.000 15.267
Zn Se Ac K
2 8 4 2
Cartesian
2.236 5.190 11.450
0.000 2.382 3.817
0.000 4.013 5.794
2.236 3.559 13.427
2.236 3.559 9.473
2.236 1.093 3.817
0.000 6.479 11.450
0.000 4.013 1.840
0.000 0.000 7.634
0.000 0.000 0.000
0.000 5.599 8.472
2.236 1.972 0.839
2.236 1.972 6.795
0.000 5.599 14.428
2.236 5.887 3.817
0.000 1.685 11.450

PBE La2Pm5Sn4, relaxed; ΔE_f = -155 meV/atom; space group = No. 12; calculated density = 6.480 g/cm³
1.0
4.022 0.000 0.000
0.000 8.070 0.517
-2.011 -2.239 11.522
La Pm Sn
2 5 4
Cartesian
0.000 1.430 6.244
2.011 4.401 5.795
2.011 0.000 0.000
0.000 2.712 2.952
0.000 7.113 4.184
2.011 -1.282 7.856
2.011 3.119 9.088
*/

[Solution]
PBE DyAlPb, relaxed; ΔE_f = -292 meV/atom; space group = No. 166; calculated density = 8.144 g/cm³
1.0
4.425 0.000 0.000
2.213 3.832 0.000
2.213 1.277 9.538
Al Dy Pb
2 2 2
Cartesian
2.213 1.277 4.921
6.638 3.832 4.617
4.425 2.555 6.707
4.425 2.555 2.831
6.638 3.832 8.713
2.213 1.277 0.825

PBE KAc2ZnSe4, relaxed; formation energy without anion corrections = -1.5028 eV per atom; space group = No. 63; calculated density = 5.617 g/cm³
1.0
4.472 0.000 0.000
-2.236 7.572 0.000
0.000 0.000 15.267
Zn Se Ac K
2 8 4 2
Cartesian
2.236 5.190 11.450
0.000 2.382 3.817
0.000 4.013 5.794